Begin CGS
The kingdom of heaven is like a mustard seed that a person took and sowed in a field. It is the smallest of all the seeds, yet when full-grown it is the largest of plants. It becomes a large bush, and the birds of the sky come and dwell in its branches.” Matthew 13:31-32
One comes to know about The Catechesis of the Good Shepherd from a friend, a parishioner, the Director of Religious Education or Faith Formation, a priest, or a bishop. There are several factors one needs to take into consideration when beginning Catechesis of the Good Shepherd in a parish, school, or even a home setting.
Visit an Atrium
To capture a vision of what The Catechesis of the Good Shepherd offers children, it can be beneficial to connect with a church in the area (if at all possible) that has already established an atrium for children. Our association may be able to help you locate parishes in your area.
Arranging a small group to visit an atrium can be invaluable to understanding this method of catechesis and what it can be like for children. If possible, it can also be helpful to experience one or two of the presentations (lessons) as they are given to the children or even observe an atrium session with children. Either one can make a difference in capturing the vision of CGS. What an impression it makes for the adult to enter the sacred atrium environment that has been so carefully prepared to nurture the young child’s spiritual life compared to hearing about it!
Characteristics of The Catechesis of the Good Shepherd:
#3 The atrium is a community in which children and adults live together a religious experience that facilitates participation in the wider community of the family, the church, and other social spheres.
- The atrium is a place of prayer, in which work and study spontaneously become meditation, contemplation, and prayer.
- The atrium is a place in which the only Teacher is Christ; both children and adults place themselves in a listening stance before his Word and seek to penetrate the mystery of the liturgical celebration.
The 32 Points of Reflection represent the principal aspects of the catechesis as they have emerged after more than fifty years of work with children of different countries, cultures and socio-economic backgrounds.
Building Interest and Inspiring Community
A parish interested in starting The Catechesis of the Good Shepherd will need to have the support of the pastor or the parish council (or vestry) and have the opportunity to enlist the talents from the parish community as well.
Catechist Formation
At least one person from the parish must be willing to take the Level I formation course in order to get the atrium started, but two or more persons involved in the training together are better.
# Here the article breaks off for quantum chemistry results
+++
a:
Computed, not measured: a 2-piece molecular cluster, C5H14 overall, with ωB97M-V/def2-TZVPD.

ORCA input file:
```
! wB97M-V def2-TZVPD RIJCOSX def2/J DEFGRID3
* xyz 0 1
C 0.5816 2.1037 0.9832
C 0.9405 -0.4916 -1.3322
C 0.1031 -1.8044 -1.3297
C -0.9021 -1.9809 -0.2464
C -0.7253 2.0308 1.8223
H -1.8596 -1.4038 -0.3426
H 0.2535 2.1506 -0.0105
H -1.3518 1.1985 1.4778
H 1.4969 -0.3179 -0.3514
H -0.3865 -2.0189 -2.3319
H -0.4869 -1.7053 0.6596
H 1.4107 2.7780 1.2024
H 1.2416 1.2311 0.9678
H -1.1863 -3.0445 -0.1394
H -0.8131 2.0758 2.8772
H -1.3391 2.8699 1.4328
H 1.7218 -0.6699 -2.0422
H 0.6638 -2.7929 -1.3375
H 0.6479 0.5035 -1.4455
*
```

Summary:
* gap between HOMO and LUMO: 11.859 eV
* SMILES: CCC.CC
* molar mass: 74.2 g/mol
* LUMO energy: 0.041 hartree
* HOMO level: -10.7395 eV

b:
Computed, not measured: a 2-piece molecular cluster, C5H14 overall, with ωB97M-V/def2-TZVPD.

ORCA input file:
```
! wB97M-V def2-TZVPD RIJCOSX def2/J DEFGRID3
* xyz 0 1
C 0.6368 -0.3333 1.2435
C 2.4198 -0.7041 -0.3882
C -2.7060 0.6540 -0.6614
C -1.5623 1.6193 -0.5216
C 1.3465 -1.4360 0.3980
H 0.5891 -1.8894 -0.2688
H 1.3076 -0.0925 2.0882
H 1.7120 -2.3090 0.9528
H 3.3999 -0.5675 0.0723
H -2.4193 -0.3847 -0.8002
H 0.6199 0.6150 0.7220
H -1.2623 1.8491 0.4993
H -3.3547 0.8922 -1.5124
H -3.4117 0.7837 0.1575
H 2.7028 -1.2370 -1.2998
H -1.8463 2.6019 -0.9258
H -0.3271 -0.5193 1.7137
H -0.7016 1.3656 -1.1460
H 2.1903 0.2981 -0.7485
*
```

Summary:
* gap between HOMO and LUMO: 12.235 eV
* SMILES: CCC.CC
* molar mass: 74.2 g/mol
* LUMO energy: 0.043 hartree
* HOMO level: -11.0606 eV

Tell me which of them is the most stable. Sure, it is b.

a:
Computed, not measured: a 2-piece molecular cluster, C5H14 overall, with ωB97M-V/def2-TZVPD.

ORCA input file:
```
! wB97M-V def2-TZVPD RIJCOSX def2/J DEFGRID3
* xyz 0 1
C 0.9804 -0.2678 2.1932
C -1.6449 0.2533 -1.7894
C -1.6649 0.3674 -0.2664
C 2.0240 -1.2498 1.6046
C -0.2167 0.7675 -2.2256
H 0.0073 -0.2425 1.7426
H 0.3551 0.0867 -2.8377
H 1.6025 -2.0620 1.0269
H -1.0698 -0.3035 0.3301
H 2.6448 -1.6078 2.4314
H -0.4085 1.6530 -2.8466
H -1.8444 -0.7443 -2.1682
H 2.8044 -0.6871 1.0752
H 1.0398 -0.3078 3.2820
H -1.5079 1.4184 0.0062
H -2.3150 0.9464 -2.2759
H -2.6586 0.1760 0.2022
H 1.4483 0.6937 1.9239
H 0.4243 1.1101 -1.4087
*
```

Summary:
* gap between HOMO and LUMO: 12.274 eV
* SMILES: CCC.CC
* molar mass: 74.2 g/mol
* LUMO energy: 0.041 hartree
* HOMO level: -11.1451 eV

b:
Computed, not measured: a 2-piece molecular cluster, C5H14 overall, with ωB97M-V/def2-TZVPD.

ORCA input file:
```
! wB97M-V def2-TZVPD RIJCOSX def2/J DEFGRID3
* xyz 0 1
C 0.9366 -0.8109 -2.7424
C -1.1426 1.7472 1.8531
C -0.5519 0.4043 1.3478
C 0.9043 0.2052 1.7833
C -0.2475 -1.4328 -2.0285
H 1.4581 -0.3890 1.0534
H -0.6206 -2.3546 -2.4779
H -1.3807 1.6526 2.9245
H 1.4426 1.1526 1.8224
H 0.9184 -0.2904 2.7513
H 1.5141 -0.1971 -2.0466
H -2.1370 1.8954 1.4426
H 1.7126 -1.5679 -2.9103
H -1.1469 -0.8108 -2.1388
H 0.6284 -0.3015 -3.6437
H -1.1634 -0.3841 1.7833
+++
Catechist formation in Catechesis of the Good Shepherd offers adults an experience of all presentations as given to three to six-year-old children over a three-year atrium cycle. Led by a formation leader recognized by our association, course participants also discuss the theological and pedagogical principles that undergird the children’s presentations. They are guided in writing album pages for each of these presentations and are assisted in how to make many of the materials used for these presentations as well as in how to prepare the atrium.
Introducing CGS to the Parish
Once a visit has been made to a parish with an established atrium, it will be important to introduce The Catechesis of the Good Shepherd to parents and the larger community of your parish. One way this could be done is to host a “Seed Planting Workshop” in which a CGS formation leader or experienced CGS catechist is invited to introduce The Catechesis of the Good Shepherd. Another way could be to offer a book study using one of the texts about Catechesis of the Good Shepherd such as The Religious Potential of the Child by Sofia Cavalletti, Listening to God with Children by Gianna Gobbi or The Good Shepherd and the Child by Sofia Cavalletti, et al. with interested parents and other parishioners. With the encouragement of the parish staff, some may choose to take CGS Level I Formation and become catechists; others may want to assist the catechist in preparing the room that will become the atrium; and there will be others whose skills in carpentry, painting, sewing, calligraphy, or sculpting figures out of clay or resin can be helpful in building the atrium and making materials.
Creating an Atrium
Ideally, the parish provides a room dedicated solely for the atrium. An atrium space can be adapted to almost any size although thought will need to be given to the number of children who can attend at a time, especially if the space is very small.
We seek to help children enjoy a relationship with God and in doing so we ask, “What kind of environment can we create that will respect and cultivate the child’s needs and capacities at this level of their development, especially in terms of their spiritual development?”
So we think of creating a sacred space that is accessible to the child so the child can function independently and enjoy freedom of movement.
The environment is called an atrium. It is not a classroom. As Sofia Cavalletti has written, “It is not a place of religious instruction, but of religious life.” It is a sacred space in which the child is initiated into the life of the Church and needs to be the work of the whole church.
Setting up an atrium in a space that needs to be shared with other ministries and in which the atrium materials need to be set up and taken down before and after each session can be a challenge due to the many atrium materials. However, it can be done with the dedication of a few volunteers. Often atria begin in this manner, but then gradually, as space is located for the atrium, it is beneficial for adults and for the children to have dedicated space.
As the vision for The Catechesis of the Good Shepherd grows with the parish and the children at the different atrium levels, if space is large enough, it may be used for the next level atrium with materials added for the children of the second level to attend a session. This is another way the same atrium space could be multi-purpose. Ideally, it is best to envision one atrium environment established for Level I (for three to six-year-old children), in a few years then establish a second space for the Level II atrium (for six to nine-year-old children) and if the vision continues for all three levels of the Catechesis of the Good Shepherd, then a third space for the Level III atrium (for nine to twelve year old children).
The Level I atrium environment will consist of several key areas of materials for the children according to the themes introduced to the children. There is an area for Prayer, Introduction to the Life of the Church, Biblical Geography, Messianic Prophecies and Infancy Narratives, the Kingdom Parables, the Paschal Mystery, The Good Shepherd, Baptism, Eucharist, Practical Life, and materials for art expression.
There are about fifty catechetical presentations given to the three to six-year-old children, and each presentation involves materials that serve as an aid for the child’s work and absorption of the proclamations made in the presentations. Materials are attractive and simple.
When catechists attend a formation course and are a member of CGSUSA, they have access to the materials manual which provides the measurements and directions for making the handmade materials.
What does it cost?
Catechesis of the Good Shepherd can be a viable option for children’s faith formation in any parish. The main costs associated with beginning The Catechesis of the Good Shepherd are preparing the atrium, making materials, and sending catechists to formation courses.
With a little ingenuity, the atrium and materials can be prepared very simply and with modest cost. Mainly the costs to begin The Catechesis of the Good Shepherd are associated with 1) obtaining catechist formation for one or two adults and, 2) preparing the atrium environment, purchasing as well as making the materials the children use. Catechist formation can occur by sending one or two adults to a course offered locally or anywhere in the country where a course is being offered if the schedule permits. Budgeting for on-going catechist formation is recommended. Once an atrium has begun in a parish it may be possible for the parish to invite a CGSUSA formation leader to lead catechist formation hosted by the parish.
## These quantum chemistry results were left in the text by mistake
+++
One molecule with the formula C4H10N4. Source: the OMol25 dataset; level of theory: ωB97M-V/def2-TZVPD.

Each line ends with the natural charge from an NBO analysis.
Element x y z (Å)
C -2.19 -0.47 -0.40  -0.424
C 2.46 -0.32 0.62  -0.408
N -0.96 0.20 0.02  -0.223
C 0.27 -0.31 -0.58  0.593
N -0.96 1.62 -0.10  -0.643
C 0.09 -0.41 1.64  -0.043
N 1.02 -0.48 0.54  -0.504
N 0.40 -0.47 -1.83  -0.752
H -1.21 1.88 -1.05  0.350
H -1.66 1.98 0.54  0.358
H 1.28 -0.92 -2.08  0.353
H 0.45 0.46 2.24  0.085
H -2.08 -1.54 -0.20  0.229
H -2.39 -0.32 -1.47  0.207
H -3.02 -0.08 0.19  0.205
H 2.69 0.57 1.22  0.202
H 2.93 -1.19 1.08  0.201
H 2.87 -0.19 -0.38  0.212

Values from the calculation:
Energy relative to the best compared isomer or geometry (same formula, charge and spin) ... 124.64 kcal/mol
HOMO-LUMO gap ... 8.0 eV
Energy ... -377.24819 hartree



One molecule with the formula C4H10N4 in a non-equilibrium geometry. Source: the OMol25 dataset; level of theory: ωB97M-V/def2-TZVPD.

Each line ends with the natural charge from an NBO analysis.
Element x y z (Å)
C 1.06 1.58 1.93  -0.405
C -1.44 -0.48 0.40  -0.027
C -0.87 -1.59 -0.40  -0.330
C -0.12 0.49 -2.18  -0.172
H 2.14 1.43 2.01  0.197
H 0.61 1.68 2.89  0.207
H 0.77 2.47 1.31  0.184
H 1.07 0.22 0.36  0.365
H -2.46 -0.28 0.47  0.196
H -1.56 -1.96 -1.20  0.208
H -0.59 -2.59 0.12  0.231
H 1.18 -1.64 -0.37  0.368
H -1.15 0.32 -2.24  0.165
H 0.27 1.26 -2.86  0.185
N 0.61 0.33 1.23  -0.452
N -0.73 0.33 1.10  -0.229
N 0.45 -1.37 -0.96  -0.440
N 0.79 -0.20 -1.61  -0.252

Values from the calculation:
Energy relative to the best compared isomer or geometry (same formula, charge and spin) ... 87.20 kcal/mol
HOMO-LUMO gap ... 9.5 eV
Energy ... -377.30785 hartree



Repeat the second record exactly.
One molecule with the formula C4H10N4 in a non-equilibrium geometry. Source: the OMol25 dataset; level of theory: ωB97M-V/def2-TZVPD.

Each line ends with the natural charge from an NBO analysis.
Element x y z (Å)
C 1.06 1.58 1.93  -0.405
C -1.44 -0.48 0.40  -0.027
C -0.87 -1.59 -0.40  -0.330
C -0.12 0.49 -2.18  -0.172
H 2.14 1.43 2.01  0.197
H 0.61 1.68 2.89  0.207
H 0.77 2.47 1.31  0.184
H 1.07 0.22 0.36  0.365
H -2.46 -0.28 0.47  0.196
H -1.56 -1.96 -1.20  0.208
H -0.59 -2.59 0.12  0.231
H 1.18 -1.64 -0.37  0.368
H -1.15 0.32 -2.24  0.165
H 0.27 1.26 -2.86  0.185
N 0.61 0.33 1.23  -0.452
N -0.73 0.33 1.10  -0.229
N 0.45 -1.37 -0.96  -0.440
N 0.79 -0.20 -1.61  -0.252

Values from the calculation:
Energy relative to the best compared isomer or geometry (same formula, charge and spin) ... 87.20 kcal/mol
HOMO-LUMO gap ... 9.5 eV
Energy ... -377.30785 hartree



Q: energy relative to the best compared isomer or geometry (same formula, charge and spin) of number 1 (C4H10N4)?
A: 124.64 kcal/mol

----------

1.
Molecular formula: C16H8Cl3N4O6S2Ti
Method: DFT, the ωB97M-V functional and the def2-TZVPD basis

Output
Relative energy (zero: lowest compared OMol25 entry of this formula, charge and spin) (kcal/mol): 0.0
+++
Partial scholarships for catechist formation are usually available to members of CGSUSA through the Tina Lillig Memorial Fund.
Initially, preparation of the atrium environment will include obtaining bookshelves and a few small tables and chairs. Some of the costs involved in preparing the atrium for the children can be spread out over three years since the Level I atrium content covers a three-year cycle for the children. The material purchases for the second and third years can be postponed as the budget allows. Once the atrium has been built and the materials have been prepared, there are minimal maintenance costs, mainly associated with replacing consumable materials used by the children as well as occasionally repairing or replacing materials.
Over time maintenance of the atrium costs much less than the initial costs of setting up an atrium. Consideration will need to be given to how many atria you will need to have – one for each level of CGS built over a span of time as catechists are trained or having more than one atrium for each of the three levels. Some parishes choose to have multiple sessions utilizing the same atrium each level while others find that with the number of children are serving, they want to have multiple atria at each level or multiple Level I atria and one atrium each for Level II and Level III.
The Toddler Atrium is a prepared environment in which the youngest child’s spiritual life is fed by prayer, work and celebration aided by a catechist. Time is also given with the adults in the life of the child in this prepared environment for the infant or the young child to explore and the parent to grow in observation skills and interactions with his/her child aided by a catechist.
“Our parish community is approximately 5,000 people. We are very interested in the Catechesis of the Good Shepherd. I am inspired to discover this approach for young children. We are trying to move our Church school and Religious Education classes into a more progressive way of teaching and engaging young children and with the blessing of our parish priests, this is our focus for the coming year. I would like more information on how we can access training.”
-an interested parent and parish staff
Your Support Matters
“If we want to help the child grow near to God, we should, with patience and courage… seek to go always closer to the vital nucleus of things. This requires study and prayer. The child himself will be our teacher if we know how to observe him.”
– Sofia Cavalletti.